77 portal

77 portal


Selfcare Sunday and 77 portal. Hold your horses, I’m about to go real deep. I may lose some of you on what the hell I’m talking about. It’s ok. For those that do know, I’m talking to you, I’m here for you and holding your hand.

It is here the merging of the spiritual realm and the 3D. How are you. Everyday will feel more and more weird, get ready if you thought last year was weird, or the year before that. Everytime you go outside and observe the world it will feel more and more fake, everything you see going on in the world. It is time to get into the depths of nature. Time will feel faster, just stay grounded in the shift happening. Think of it as one of those fun conveyor belt things at the airport. If you walk with it, it feels faster, and people not on the belt are going so slow. Just think of the shift like that when you get to the end of the belt and back on solid ground everything is fine, you’ve just upgraded passed the person not on the belt. Way showing ones are here to help people get on and off the belt safely in the forward direction. That is what is happening. Here is the Schumann…from the 4th.

I haven’t gone to sleep yet from Saturday, I observe all my skin is just peeling off, there is a lot of painful red edges around the white light so expect to be agitated in some way. Its not just my legs but everywhere. So yeah , that is extremely high radioactive energy from Sirius atomic shifting. I have started getting itchy about 6-7pm, that was the peak it is now subsided. I’m still going to wait until tomorrow to wash up and moisturize.

I wanted to come on here and explain that if it is happening to you not to panic, it is going to pass, it is part of ascension. This happened to me (I mean for me 🥴 , trying to stay in 5D) during the 55 portal too. It is literally a Phoenix cycle. Why does it keep happening so intensely for me? Not sure, I am rapidly gaining inner wisdom. I do consider myself a starseed at some point in the near past. I was also born in Saturn and Jupiter RX. Saturn Rx births mean you are redoing your last life, you chose to come back and do it again so I think I got a head start this time around maybe starting to remember it, I do have a reincarnation scar on my neck so I have been here at least once before. It sounds like I tend to do things over and over and over 🥴. Jupiter Rx births mean we are free spirited highly spiritual incarnates, that get ourselves stuck in cycles of self sabotage and procrastination. We experience spiritual expansion internally, and Sirius is seriously burning us up from the inside out, it’s a spiritual reset.

I already had a reset and I think this is the aftermath hitting my physical body now. Expect to feel really rejuvenated after this is over maybe in a few days, but it may take until after Lionsgate 88 portal (ugh sorry!). It was intense last year but it will be so much more intense this year due to the solar maximum cycle.

Let’s have a post midnight musical intermission…

Here it comes, can you guess? “Drink water! Ground yourself!”, soak in water, watch your time in the sun and sleep if you can, when you can. Cloak your energy, just because you‘re energy body is buzzing doesn’t mean you necessarily should give it all away, keep some for yourself. I know it’s hard, being in this energetic excess in a tired body, use it to create if you need to move it. The present feels very trippy. You know, it will just keep getting trippier, and you will get used to it. If it feels that way you’re on the right path, you've already made the shift. It just takes some time to adjust to the newness. You will be seeing things differently, auras, colors, our senses will be upgrading. Just have a laugh and shrug it off, the trippy feeling world is the real world we are shifting into. The harsher sharper world as we’ve known is crumbling and becoming very very unappealing. It is due to a little wishful thinking and the collective starts being positively and mindfully using their gifts toward moving toward higher dimensions during this finite life. We are collectively deciding we want better for ourselves and others. This is the week to think about how you want the next six months to go, if you’ve not already. Even if you already integrated the 4th dimension astrals and 5th dimensional archetypes, even if you are an angel shifting celestial embodiment of 6D. It is still good to look ahead as third dimensional human beings. It’s just the higher you go the less you get pulled back into worry and fear, because you understand more.

I won’t tell you what to do if you are now intergrating the over soul higher dimensions. I thank you for your service. I know some of you have, some may even be spending some time amongst the avatars and that is truly amazing mastery pushing human limits. I have been there briefly, I have touched a face, I have seen a blueprint! When I said that one time when I channeled a message of the angels wanting recognition...I understand I missed an important detail. Not the nameless angels that we are becoming. The archangels want recognition, they are here now. So be sure to thank them from the inside for all they do for us, helping us evolve into our soul body. We are still evolving and merging, ever higher. As we do, they take a step back to see what we are capable of. They never felt pain until merging with us and they had to in order to care enough to help us out.

Good morning I am up…ugh.

I had a dream I was in a store that had interactive toothbrushes, they had screens and people were walking around in the mall watching movies on thier toothbrushes instead of phones. I’m thinking is this really necessary? then woke up. Does this already exist? lol.

# Misplaced calculated crystals
=====
# r²SCAN ReGe2, relaxed
# Mass density ... 11.38 Mg/m³
# E_form ... 0.015 eV per atom
data_ReGe2
_chemical_formula_sum 'Re2 Ge4'
_space_group_name_H-M_alt 'P 1'
_space_group_IT_number 1
_cell_length_a 3.211
_cell_length_b 4.802
_cell_length_c 6.921
_cell_angle_alpha 77.54
_cell_angle_beta 76.59
_cell_angle_gamma 70.47
loop_
_space_group_symop_operation_xyz
'x,y,z'
loop_
_atom_site_label
_atom_site_fract_x
_atom_site_fract_y
_atom_site_fract_z
Re1 0.849 0.111 0.190
Re2 0.151 0.889 0.810
Ge1 0.850 0.759 0.540
Ge2 0.150 0.241 0.460
Ge3 0.600 0.688 0.112
Ge4 0.400 0.312 0.888

# r²SCAN Ag3Hg, relaxed
# Mass density ... 11.82 Mg/m³
# E_form ... 0.032 eV per atom
data_Ag3Hg
_chemical_formula_sum 'Ag3 Hg1'
_space_group_name_H-M_alt 'P 1'
_space_group_IT_number 1
_cell_length_a 4.192
_cell_length_b 4.192
_cell_length_c 4.192
_cell_angle_alpha 90.00
_cell_angle_beta 90.00
_cell_angle_gamma 90.00
loop_
_space_group_symop_operation_xyz
'x,y,z'
loop_
_atom_site_label
_atom_site_fract_x
_atom_site_fract_y
_atom_site_fract_z
Ag1 0.500 0.000 0.500
Ag2 0.000 0.500 0.500
Ag3 0.500 0.500 0.000
Hg1 0.000 0.000 0.000

# r²SCAN RbErSe2, relaxed
# Mass density ... 5.67 Mg/m³
# E_form ... -2.009 eV per atom
data_RbErSe2
_chemical_formula_sum 'Rb1 Er1 Se2'
_space_group_name_H-M_alt 'P 1'
_space_group_IT_number 1
_cell_length_a 8.292
_cell_length_b 8.292
_cell_length_c 8.292
_cell_angle_alpha 29.22
_cell_angle_beta 29.22
_cell_angle_gamma 29.22
loop_
_space_group_symop_operation_xyz
'x,y,z'
loop_
_atom_site_label
_atom_site_fract_x
_atom_site_fract_y
_atom_site_fract_z
Rb1 0.000 0.000 0.000
Er1 0.500 0.500 0.500
Se1 0.231 0.231 0.231
Se2 0.769 0.769 0.769

# r²SCAN LuFe10Si2, relaxed
# Mass density ... 7.95 Mg/m³
# E_form ... -0.199 eV per atom
data_LuFe10Si2
_chemical_formula_sum 'Lu1 Fe10 Si2'
_space_group_name_H-M_alt 'P 1'
_space_group_IT_number 1
_cell_length_a 4.776
_cell_length_b 6.344
_cell_length_c 6.344
_cell_angle_alpha 98.46
_cell_angle_beta 112.11
_cell_angle_gamma 67.89
loop_
_space_group_symop_operation_xyz
'x,y,z'
loop_
_atom_site_label
_atom_site_fract_x
_atom_site_fract_y
_atom_site_fract_z
Lu1 0.000 0.000 0.000
Fe1 0.642 0.358 0.642
Fe2 0.358 0.642 0.358
Fe3 0.000 0.354 0.354
Fe4 0.000 0.646 0.646
Fe5 0.500 0.790 0.790
Fe6 0.500 0.210 0.210
Fe7 0.500 0.000 0.500
Fe8 0.000 0.000 0.500
Fe9 0.500 0.500 0.000
Fe10 0.000 0.500 0.000
Si1 0.731 0.769 0.231
Si2 0.269 0.231 0.769

# r²SCAN EuO2, relaxed
# Mass density ... 7.48 Mg/m³
# E_form ... -2.437 eV per atom
data_EuO2
_chemical_formula_sum 'Eu2 O4'
_space_group_name_H-M_alt 'P 1'
_space_group_IT_number 1
_cell_length_a 3.860
_cell_length_b 3.862
_cell_length_c 5.477
_cell_angle_alpha 90.00
_cell_angle_beta 90.00
_cell_angle_gamma 90.00
loop_
_space_group_symop_operation_xyz
'x,y,z'
loop_
_atom_site_label
_atom_site_fract_x
_atom_site_fract_y
_atom_site_fract_z
Eu1 0.750 0.250 0.750
Eu2 0.250 0.750 0.250
O1 0.750 0.750 0.500
O2 0.250 0.250 0.500
O3 0.750 0.750 0.000
O4 0.250 0.250 0.000
=====

9:55AM The Schumann today. Hmm, well look at that! 98 amps is pretty high, and the symptoms, what did I say!

_Someone pasted crystal structures at this point_
____________
This record from the Materials Project describes an optimized crystal structure of Li9Mn4B8O24. The functional is PBE with a Hubbard U.

Crystal system: triclinic
Density: 2.8 g/cm3
MP2020-corrected energy: -335.397 eV per formula unit
Offset from the most stable computed form: 22 meV/atom
Volume: 10.0 Å³ per atom

Structure (extended XYZ):
```
45
Lattice="-0.425 -5.028 -1.559 3.053 -2.645 7.738 -9.116 0.227 3.619" Properties=species:S:1:pos:R:3 pbc="T T T"
O -7.090 -3.864 3.639
O -0.535 -2.516 1.036
O 0.026 -2.592 4.134
B -3.446 -5.413 7.809
O -2.194 -1.659 3.053
Mn -0.291 -1.454 2.652
O -4.252 -2.710 4.980
O -0.922 -5.773 6.484
O -7.627 -0.942 5.682
Li -3.828 -2.529 7.059
O -6.471 -4.902 5.661
O -5.711 -2.729 7.932
O -5.942 -4.941 8.804
B -4.721 -1.573 4.394
B -1.756 -5.876 5.365
O -1.296 -4.268 -0.407
O 1.116 -6.452 4.082
O -4.782 -5.340 3.273
Mn -6.198 -6.028 7.174
Li -4.283 -4.642 5.184
O -1.705 -2.100 6.473
Mn -5.352 -3.534 2.802
O 0.640 -3.560 6.176
Li -7.568 -1.803 3.868
O -2.887 -4.171 7.669
O -5.448 -3.100 10.274
O -5.541 -1.691 3.272
B -3.035 -2.021 1.990
Li 1.927 -3.449 7.718
O -4.304 -5.861 6.797
B -0.870 -3.841 0.822
Li 1.144 -5.549 5.845
B 0.752 -2.497 5.280
Li -8.290 -3.980 2.024
O -0.781 -4.740 1.883
O -2.236 -4.753 4.772
O -3.241 -1.101 1.020
B -5.673 -3.598 9.022
____________

I’ll continue writing as the day goes on…self care mindfully today, put some intent into it. In the meantime here’s a music video worth a watch.


Well, I totally forgot until just now I said I’d pull cards. lol. Tomorrow I will. I fell asleep at 4pm until a little after 5pm. I had a really weird dream and also sleep paralysis, I didn’t panic I just went back to sleep and it fixed itself when I woke up again.